The Alchemy of Becoming
Transforming lives and inspiring spiritual communities
a book that has been specifically written for you.
a book that is not simply to be read, but to be experienced.
The methodology contained in “The Alchemy of Becoming” series provides a tangible, step-by-step process that empowers you to raise your level of consciousness.
“The Alchemy of Becoming” takes this illusive word of ‘consciousness’ and makes it a palpable, life altering, felt experience. Consciousness is not intended to just be a mental construct; it is to be a ‘flesh and blood’ transformative experience. It is an awareness, a knowledge, a skill, a practice and a ‘knowing’.
Consciousness is not so much something you acquire, for everyone and everything is imbued with this life-creator force. However, for many it resides within us in a partially dormant state. We ‘awaken’ to unleash its potential to create a profound depth of meaning and of feeling. We ‘awaken’ to understand that it is THE evolutionary force for ALL THAT IS.
That is why the books are not to be just read but to be experienced. Imagine a book specifically designed for you, taking into account every experience you have had, that knows you better than you know yourself, that can calibrate your learning based on what you know, how you learn and what you need to learn and to experience. Every learning and experience unlocks the next learning and experience. This is the making of a very unusual and unique methodology.
So if you are questioning this word ‘consciousness’ even without knowing what the question is or should be, this series of books awaits your exploration and discovery. For those of you already pursuing this methodology, you will find additional materials and resources in the website designed to facilitate and deepen your experience.
This website follows the architecture of the books. The books are structured around the seven stages of alchemy. The Overview provides the foundational elements and sequence of the alchemic process, followed by a synopsis of each of the seven stages for Level 1, ‘Being of Truth’ and for Level 2 ‘Being of Love’. While the books are intended to be self-guided, there are coaches available under the ‘Resources’ tab to provide individual assistance and to help support communities. There are many other helpful resource materials.
Finally, this website has been created to showcase the voices and experiences of many who have chosen to undertake their own journeys. Each has offered insights from their own experiences and have been willing to share learnings and questions with the authors and coaches. We are grateful for the spirit in which so much is shared and given. Your voice and questions or comments are likewise gratefully received and we can be reached through the ‘contact‘ tab on the menu.
Listen to our story with host Jessie Herman on her “Some Kind of Mystic” podcast!
Episode #14: Discover the Secrets of The Alchemy of Becoming!
We are so excited to have been asked to be guests on this wonderful podcast. Listen to our telling of the Alchemy story anywhere you get your podcasts – or click on the button below.

The Alchemy of Becoming
These records of crystals were left in the entry by mistake.
'''
! Pr3Dy8 GGA-PBE optimized geometry; values from VASP
! - ΔH_f (0 K): 544 meV/atom
! - Raw total energy: -45.2 eV for the cell shown
! - ρ: 7.62 g/cm³
! - Space group: R-3, No. 148
&SYSTEM
  ibrav = 0, nat = 11, ntyp = 2
/
ATOMIC_SPECIES
Pr 140.91 Pr.upf
Dy 162.50 Dy.upf
ATOMIC_POSITIONS crystal
Pr 0.500 0.000 0.500
Pr 0.000 0.500 0.500
Pr 0.500 0.500 0.000
Dy 0.914 0.304 0.115
Dy 0.304 0.115 0.914
Dy 0.115 0.914 0.304
Dy 0.352 0.352 0.352
Dy 0.648 0.648 0.648
Dy 0.885 0.086 0.696
Dy 0.696 0.885 0.086
Dy 0.086 0.696 0.885
CELL_PARAMETERS angstrom
-1.286 6.087 3.652
-3.727 2.515 -5.642
-5.985 -2.975 2.715

=====

First-principles (PBE-GGA) data for an optimized crystal structure of Rb2VCuI6, as listed in the Alexandria database.

Symmetry   No. 1
Final energy   -3.208 eV per atom
ΔE_f (raw)   -0.76 eV/atom
Size of the total moment   0.20 μB per atom
Energy relative to the lowest polymorph listed for this composition   0 meV per atom

Cell lengths 7.899, 7.912, 8.040 Å; angles 114.71, 104.52, 108.63 degrees
Positions (direct):
Rb: 0.000 0.000 0.000
Rb: 0.496 0.046 0.536
V: 0.754 0.530 0.268
Cu: 0.393 0.669 0.768
I: 0.006 0.535 0.587
I: 0.442 0.463 0.948
I: 0.487 0.520 0.466
I: 0.544 0.065 0.069
I: 0.931 0.957 0.467
I: 0.983 0.505 0.069



First-principles (PBE-GGA) data for an optimized crystal structure of NdHoAg, as listed in the Alexandria database.

Calculated formation energy   0.0694 eV per atom
Symmetry   No. 44
Final energy   -3.996 eV per atom
Size of the total moment   0.01 μB per atom
Energy relative to the lowest polymorph listed for this composition   232 meV per atom

Cell lengths 5.089, 5.101, 7.214 Å; angles 90.00, 90.00, 90.00 degrees
Positions (direct):
Nd: 0.000 0.000 0.000
Nd: 0.500 0.500 0.500
Ho: 0.000 0.000 0.500
Ho: 0.500 0.500 0.000
Ag: 0.000 0.500 0.750
Ag: 0.500 0.000 0.250



First-principles (PBE-GGA) data for an optimized crystal structure of TmAl2ZnPd4, as listed in the Alexandria database.

Calculated formation energy   -0.7877 eV per atom
Symmetry   No. 166
Final energy   -5.038 eV per atom
Size of the total moment   0.00 μB per atom

Cell lengths 7.941, 7.941, 7.941 Å; angles 32.61, 32.61, 32.61 degrees
Positions (direct):
Tm: 0.000 0.000 0.000
Al: 0.246 0.246 0.246
Al: 0.754 0.754 0.754
Zn: 0.500 0.500 0.500
Pd: 0.128 0.128 0.128
Pd: 0.388 0.388 0.388
Pd: 0.612 0.612 0.612
Pd: 0.872 0.872 0.872
'''
The records of crystals stop here.
Transforming lives and inspiring spiritual communities
a book that has been specifically written for you.
a book that is not simply to be read, but to be experienced.
The methodology contained in “The Alchemy of Becoming” series provides a tangible, step-by-step process that empowers you to raise your level of consciousness.
“The Alchemy of Becoming” takes this illusive word of ‘consciousness’ and makes it a palpable, life altering, felt experience. Consciousness is not intended to just be a mental construct; it is to be a ‘flesh and blood’ transformative experience. It is an awareness, a knowledge, a skill, a practice and a ‘knowing’.
Consciousness is not so much something you acquire, for everyone and everything is imbued with this life-creator force. However, for many it resides within us in a partially dormant state. We ‘awaken’ to unleash its potential to create a profound depth of meaning and of feeling. We ‘awaken’ to understand that it is THE evolutionary force for ALL THAT IS.
That is why the books are not to be just read but to be experienced. Imagine a book specifically designed for you, taking into account every experience you have had, that knows you better than you know yourself, that can calibrate your learning based on what you know, how you learn and what you need to learn and to experience. Every learning and experience unlocks the next learning and experience. This is the making of a very unusual and unique methodology.
So if you are questioning this word ‘consciousness’ even without knowing what the question is or should be, this series of books awaits your exploration and discovery. For those of you already pursuing this methodology, you will find additional materials and resources in the website designed to facilitate and deepen your experience.
+++
# 1
# SrAcHS2

A geometry-optimized SrAcHS2 structure (PBE, the Alexandria database).

Properties
M_tot, μB/atom: 0.0000
E, Ry per atom: -0.3722

a b c (Å): 4.216 4.216 14.397
angles (deg): 90.00 90.00 90.00
Fractional coordinates of all 10 atoms:
S 0.000 0.500 0.094
Sr 0.500 0.000 0.593
S 0.500 0.000 0.321
H 0.000 0.000 0.500
S 0.500 0.000 0.906
S 0.000 0.500 0.679
Ac 0.000 0.500 0.867
H 0.500 0.500 0.500
Sr 0.000 0.500 0.407
Ac 0.500 0.000 0.133

# 2
# In4Hg4Pb

A geometry-optimized In4Hg4Pb structure (PBE, the Alexandria database).

Properties
M_tot, μB/atom: 0.0000
Calculated formation energy, meV/atom: 29
E, Ry per atom: -0.1275
Polymorph energy (0 for the lowest one), kJ/mol of atoms: 0.0

a b c (Å): 3.494 8.692 8.540
angles (deg): 87.18 79.40 94.59
Fractional coordinates of all 9 atoms:
In 0.323 0.991 0.342
Hg 0.051 0.339 0.653
In 0.560 0.328 0.992
In 0.440 0.672 0.008
Hg 0.949 0.661 0.347
Pb 0.000 0.000 0.000
Hg 0.308 0.676 0.663
Hg 0.692 0.324 0.337
In 0.677 0.009 0.658

# 3
# ZrCdSi2

A geometry-optimized ZrCdSi2 structure (PBE, the Alexandria database).

Properties
M_tot, μB/atom: 0.0000
E, Ry per atom: -0.3644

a b c (Å): 9.050 9.050 9.050
angles (deg): 19.94 19.94 19.94
Fractional coordinates of all 4 atoms:
Zr 0.507 0.507 0.507
Cd 0.744 0.744 0.744
+++
This website follows the architecture of the books. The books are structured around the seven stages of alchemy. The Overview provides the foundational elements and sequence of the alchemic process, followed by a synopsis of each of the seven stages for Level 1, ‘Being of Truth’ and for Level 2 ‘Being of Love’. While the books are intended to be self-guided, there are coaches available under the ‘Resources’ tab to provide individual assistance and to help support communities. There are many other helpful resource materials.
Finally, this website has been created to showcase the voices and experiences of many who have chosen to undertake their own journeys. Each has offered insights from their own experiences and have been willing to share learnings and questions with the authors and coaches. We are grateful for the spirit in which so much is shared and given. Your voice and questions or comments are likewise gratefully received and we can be reached through the ‘contact‘ tab on the menu.
Listen to Our Story on the “Be the Love” Podcast!
Inserted here: calculated crystals >
-- begin --
Record 1
This record from Alexandria via LeMat-Bulk describes Ta3NbNi after structural relaxation. The functional is GGA-PBE.

a b c (Å): 4.816 4.816 4.816
angles (deg): 90.00 90.00 90.00
Positions (direct):
Ta 0.500 0.000 0.000
Ta 0.000 0.500 0.000
Ta 0.000 0.000 0.500
Nb 0.000 0.000 0.000
Ni 0.500 0.500 0.500

Values from the calculation:
As for the symmetry: Pm-3m (221). For the energy relative to the elements, the calculation gives 1933.6 meV per atom.

---

Record 2
This record from Alexandria via LeMat-Bulk describes Pm3Zn2SbPd9 after structural relaxation. The functional is GGA-PBE.

a b c (Å): 5.688 5.688 11.782
angles (deg): 90.00 90.00 120.00
Positions (direct):
Zn 0.667 0.333 0.836
Zn 0.333 0.667 0.164
Pd 0.831 0.663 0.672
Pd 0.169 0.831 0.328
Pd 0.337 0.169 0.672
Pd 0.169 0.337 0.328
Pd 0.831 0.169 0.672
Pd 0.000 0.500 0.000
Pd 0.500 0.500 0.000
Pd 0.500 0.000 0.000
Pd 0.663 0.831 0.328
Pm 0.000 0.000 0.000
Pm 0.333 0.667 0.761
Pm 0.667 0.333 0.239
Sb 0.000 0.000 0.500

Values from the calculation:
As for the symmetry: P-3m1 (164). The energy relative to the elements, uncorrected is -0.533 eV per atom.

---

Record 3
This record from Alexandria via LeMat-Bulk describes Cs2MnAgSe4 after structural relaxation. The functional is GGA-PBE.

a b c (Å): 6.130 7.908 12.725
angles (deg): 84.64 76.06 67.20
Each line ends with the local moment (μB).
Positions (direct):
Se 0.258 0.184 0.889  -0.06
Se 0.192 0.316 0.389  -0.06
Se 0.852 0.816 0.889  -0.06
Se 0.558 0.184 0.111  -0.06
Se 0.492 0.316 0.611  -0.06
Se 0.332 0.816 0.111  -0.06
Se 0.418 0.684 0.389  -0.06
Se 0.898 0.684 0.611  -0.06
Ag 0.000 0.000 0.000  -0.02
Ag 0.750 0.500 0.500  -0.02
Cs 0.820 0.000 0.360  0.00
Cs 0.930 0.500 0.140  0.00
Cs 0.180 0.000 0.640  0.00
Cs 0.570 0.500 0.860  0.00
Mn 0.500 0.000 0.000  2.18
Mn 0.250 0.500 0.500  2.18

Values from the calculation:
As for the symmetry: Fddd (70). The energy relative to the elements, uncorrected is -0.686 eV per atom.

---

Record 4
This record from Alexandria via LeMat-Bulk describes Ba3Tb2NpN6 after structural relaxation. The functional is GGA-PBE.

a b c (Å): 6.209 6.209 6.724
angles (deg): 98.83 98.83 119.76
Each line ends with the local moment (μB).
Positions (direct):
Tb 0.666 0.334 0.000  0.00
Tb 0.334 0.666 0.000  0.00
N 0.358 0.061 0.182  -0.03
N 0.239 0.239 0.807  -0.02
N 0.939 0.642 0.818  -0.03
N 0.642 0.939 0.818  -0.03
N 0.761 0.761 0.193  -0.02
N 0.061 0.358 0.182  -0.03
Ba 0.171 0.829 0.500  0.01
Ba 0.829 0.171 0.500  0.01
Ba 0.500 0.500 0.500  0.01
Np 0.000 0.000 0.000  0.63

Values from the calculation:
As for the symmetry: C2/m (12). The energy relative to the elements, uncorrected is -1.012 eV per atom.

---

Record 5
This record from Alexandria via LeMat-Bulk describes Pr3Nd4In2 after structural relaxation. The functional is GGA-PBE.

a b c (Å): 4.916 6.201 10.695
angles (deg): 73.94 76.71 66.65
Positions (direct):
Nd 0.992 0.339 0.676
Nd 0.008 0.661 0.324
Nd 0.330 0.451 0.890
Nd 0.670 0.549 0.110
-- stop --
We are so excited to have been asked to be guests on this wonderful podcast. Listen to our telling of the Alchemy story anywhere you get your podcasts – or click on the button below.